By Cian Molloy - 18 August, 2018
Greg Burke, director of communications of the Holy See
Victims of clerical child abuse should know that the Pope is on their side.
The comment was part of a Vatican statement issued in response to an interim report published by an investigating grand jury in Pennsylvania. The report found that 300 priests in six American dioceses had sexually abused some 1,000 children over a 30-year period.
The investigation found that Church authorities covered up abuse allegations, leaving perpetrators free to abuse again and again. It is believed that the final report of the investigating grand jury may find that more than 1,000 other children were sexually abused in the dioceses under investigation.
“The abuses described in the report are criminal and morally reprehensible,” said Greg Burke, the director of the Holy See press office. “Those acts were betrayals of trust that robbed survivors of their dignity and their faith. The Church must learn hard lessons from its past, and there should be accountability for both abusers and those who permitted abuse to occur.
“The Holy Father understands well how much these crimes can shake the faith and the spirt of believers and reiterates the call to make every effort to create a safe environment for minors and vulnerable adults in the Church and in all of society.
“Victims should know that the Pope is on their side. Those who have suffered are his priority, and the Church wants to listen to them to root out this tragic horror that destroys the lives of the innocent.”
Mr Burke pointed out that the report found almost no cases of clerical child abuse occurring after 2002, which he said was consistent with previous studies that showed that reforms within the Church have reduced the incidence of clerical child abuse.
“The Holy See encourages continued reform and vigilance at all levels of the Catholic Church, to help ensure the protection of minors and vulnerable adults from harm. The Holy See also wants to underscore the need to comply with the civil law, including mandatory child abuse reporting requirements,” he said.
However, Colm O’Gorman, the executive director of Amnesty International Ireland who founded the victims’ support group One in Four, said the Vatican should go further and compel church leaders in the United States to cooperate with the grand jury’s investigations. Several American church leaders have opted not to appear before the jury to answer questions.
Another Irish survivor of clerical sex abuse, Marie Collins, told RTE that the Vatican statement fell short of what was required, and that it should have included mention of the failure of Church leaders to protect victims.
-- These calculated crystals were left in the text by mistake --
# Ho2CoPtO6 | Alexandria via LeMat-Bulk | GGA+U | relaxed
# Raw total energy (eV per atom): -7.1958
data_Ho2CoPtO6
_symmetry_space_group_name_H-M 'P 1 21/c 1'
_symmetry_Int_Tables_number 14
_cell_length_a 5.306
_cell_length_b 5.764
_cell_length_c 9.328
_cell_angle_alpha 90.00
_cell_angle_beta 124.64
_cell_angle_gamma 90.00
loop_
_symmetry_equiv_pos_as_xyz
'x,y,z'
'-x,-y,-z'
'-x,y+1/2,-z+1/2'
'x,-y+1/2,z+1/2'
loop_
_atom_site_label
_atom_site_type_symbol
_atom_site_fract_x
_atom_site_fract_y
_atom_site_fract_z
Ho1 Ho 0.223 0.077 0.250
Co1 Co 0.000 0.000 0.500
Pt1 Pt 0.500 0.000 0.000
O1 O 0.122 0.189 0.939
O2 O 0.254 0.695 0.936
O3 O 0.380 0.052 0.751

~~~~~

{
  "formula": "Nd6Ru2SCl3",
  "functional": "PBE-GGA",
  "state": "optimized geometry",
  "total_magnetization_mub_per_fu": 0.00,
  "e_form_raw_ev_per_atom": -1.18,
  "lattice": [[3.564, -6.174, 0.000], [3.564, 6.174, 0.000], [-2.371, 0.000, 7.429]],
  "species": ["Nd", "Nd", "Nd", "Nd", "Nd", "Nd", "Ru", "Ru", "S", "Cl", "Cl", "Cl"],
  "fractional_positions": [[0.084, 0.431, 0.792], [0.221, 0.221, 0.207], [0.431, 0.084, 0.792], [0.569, 0.916, 0.208], [0.779, 0.779, 0.793], [0.916, 0.569, 0.208], [0.167, 0.833, 0.000], [0.833, 0.167, 0.000], [0.500, 0.500, 0.000], [0.000, 0.000, 0.500], [0.336, 0.664, 0.500], [0.664, 0.336, 0.500]]
}



{
  "formula": "InCuSb2Te",
  "functional": "PBE-GGA",
  "state": "optimized geometry",
  "total_magnetization_mub_per_fu": 0.00,
  "e_form_raw_ev_per_atom": 0.34,
  "de_polymorph_ev_per_atom": 0.000,
  "lattice": [[5.143, 0.000, 0.000], [0.000, 5.143, 0.000], [0.000, 0.000, 5.419]],
  "species": ["In", "Cu", "Sb", "Sb", "Te"],
  "fractional_positions": [[0.000, 0.000, 0.000], [0.500, 0.500, 0.500], [0.000, 0.500, 0.500], [0.500, 0.000, 0.500], [0.500, 0.500, 0.000]]
}



{
  "formula": "Pa3Si2Rh3",
  "functional": "PBE-GGA",
  "state": "optimized geometry",
  "total_magnetization_mub_per_fu": 0.00,
  "e_form_raw_ev_per_atom": -0.82,
  "lattice": [[7.605, 0.000, 0.000], [0.000, 14.581, 0.000], [0.000, 0.000, 5.526]],
  "species": ["Pa", "Pa", "Pa", "Pa", "Pa", "Pa", "Pa", "Pa", "Pa", "Pa", "Pa", "Pa", "Si", "Si", "Si", "Si", "Si", "Si", "Si", "Si", "Rh", "Rh", "Rh", "Rh", "Rh", "Rh", "Rh", "Rh", "Rh", "Rh", "Rh", "Rh"],
This latest revelation in the worldwide clerical child abuse scandal is likely to cast a shadow over proceedings of the World Meeting of Families 2018 in Dublin next week, with many hoping that Pope Francis will address the issue during his visit to this country.